Duplicate all of the contents further below word for word.

<<<
[1]
BeRuI2: optimized geometry, PBE.

Lattice parameters (Å, degrees): 6.8632 6.8632 6.8632 90.00 90.00 90.00
Last column: nearest neighbours and their distance in Å.
Space group Fm-3m (No. 225)
Unique sites:
Be 0.0000 0.0000 0.0000 (multiplicity 4)  8 I 2.97
Ru 0.0000 0.0000 0.5000 (multiplicity 4)  8 I 2.97
I 0.2500 0.2500 0.2500 (multiplicity 8)  4 Ru 2.97, 4 Be 2.97

## Properties
ΔE_f (raw), eV/atom: 1.115
Excess energy over the best structure of this formula in the dataset, meV/atom: 480

=====

[2]
ScInNi4: optimized geometry, PBE.

Lattice parameters (Å, degrees): 6.9078 6.9078 6.9078 90.00 90.00 90.00
Last column: nearest neighbours and their distance in Å.
Space group F-43m (No. 216)
Unique sites:
Sc 0.0000 0.0000 0.0000 (multiplicity 4)  12 Ni 2.86, 4 In 2.99
In 0.2500 0.2500 0.7500 (multiplicity 4)  12 Ni 2.86, 4 Sc 2.99
Ni 0.1247 0.1247 0.3753 (multiplicity 16)  6 Ni 2.44-2.45

## Properties
E_form, eV per atom: -0.41

=====

[3]
Ca4Ag3Au2: optimized geometry, PBE.

Lattice parameters (Å, degrees): 8.6926 5.0207 10.0727 90.00 90.04 90.00
Last column: nearest neighbours and their distance in Å.
Space group C2/m (No. 12)
Unique sites:
Ca 0.9997 0.0000 0.1689 (multiplicity 4)  3 Au 3.20, 7 Ag 3.33-3.39, 1 Ca 3.40
Ca 0.1664 0.5000 0.3883 (multiplicity 4)  4 Au 3.02-3.11, 3 Ag 3.11
Ag 0.0000 0.0000 0.5000 (multiplicity 2)  8 Ca 3.11-3.34
Ag 0.1668 0.5000 0.9945 (multiplicity 4)  3 Ag 2.90, 1 Au 3.00
Au 0.1671 0.5000 0.6969 (multiplicity 4)  1 Ag 3.00, 7 Ca 3.02-3.20

## Properties
E_form, eV per atom: -0.49

=====

[4]
CeMg6B: optimized geometry, PBE.

Lattice parameters (Å, degrees): 4.6254 5.6709 13.4230 90.00 90.00 90.00
Last column: nearest neighbours and their distance in Å.
Space group Amm2 (No. 38)
Unique sites:
Ce 0.0000 0.0000 0.0000 (multiplicity 2)  2 B 3.05, 6 Mg 3.15-3.18
Mg 0.0000 0.2482 0.7520 (multiplicity 4)  1 B 2.64, 4 Mg 2.82-2.92
Mg 0.5000 0.0000 0.1626 (multiplicity 2)  8 Mg 2.97-3.27, 2 Ce 3.18
Mg 0.5000 0.0000 0.5871 (multiplicity 2)  4 Mg 3.01-3.04, 2 B 3.25
Mg 0.5000 0.2403 0.3844 (multiplicity 4)  2 B 2.72, 5 Mg 2.72-3.04
B 0.0000 0.0000 0.4171 (multiplicity 2)  6 Mg 2.64-2.72

## Properties
E_form, eV per atom: 0.27
Excess energy over the best structure of this formula in the dataset, meV/atom: 62


No. 1
VASP calculation (PBE-GGA) on a relaxed structure of Ta2NbCo.

abc: 3.7570 3.7570 19.8782
angles: 90.00 90.00 90.00
Space group I-42d (No. 122)
One atom of each set of equivalent atoms:
Ta 0.2504 0.2500 0.1250 [8 per cell]
Nb 0.0000 0.0000 0.0000 [4 per cell]
Co 0.0000 0.0000 0.5000 [4 per cell]

Results
- Crystal system: tetragonal
- Calculated density: 12.2 Mg/m³
- V: 281 Å³/cell
- Calculated formation energy: 0.623 eV/atom


No. 2
VASP calculation (PBE-GGA) on a relaxed structure of TaNb2Co.

abc: 3.2333 3.2333 6.2711
angles: 90.00 90.00 90.00
Space group P4/mmm (No. 123)
One atom of each set of equivalent atoms:
Ta 0.0000 0.0000 0.0000 [1 per cell]
Nb 0.5000 0.5000 0.2639 [2 per cell]
Co 0.0000 0.0000 0.5000 [1 per cell]

Results
- Crystal system: tetragonal
- Energy relative to the lowest polymorph listed for this composition: 7 meV/atom
- Calculated density: 10.8 Mg/m³
- V: 66 Å³/cell
- Calculated formation energy: -0.016 eV/atom


No. 3
VASP calculation (PBE-GGA) on a relaxed structure of TaNbCo.

abc: 4.9958 8.6011 8.7421
angles: 90.00 90.00 90.00
Space group Fmmm (No. 69)
One atom of each set of equivalent atoms:
Ta 0.0000 0.0000 0.1612 [8 per cell]
Nb 0.0000 0.1599 0.5000 [8 per cell]
Co 0.2500 0.2500 0.2500 [8 per cell]

Results
- Crystal system: orthorhombic
- Energy relative to the lowest polymorph listed for this composition: 0 meV/atom
- Calculated density: 11.8 Mg/m³
- V: 376 Å³/cell
- Calculated formation energy: -0.215 eV/atom


No. 4
VASP calculation (PBE-GGA) on a relaxed structure of TaNbCo5.

abc: 3.5566 3.5566 7.4403
angles: 90.00 90.00 90.00
Space group P4/mmm (No. 123)
One atom of each set of equivalent atoms:
Ta 0.0000 0.0000 0.0000 [1 per cell]
>>>

[1]
BeRuI2: optimized geometry, PBE.

Lattice parameters (Å, degrees): 6.8632 6.8632 6.8632 90.00 90.00 90.00
Last column: nearest neighbours and their distance in Å.
Space group Fm-3m (No. 225)
Unique sites:
Be 0.0000 0.0000 0.0000 (multiplicity 4)  8 I 2.97
Ru 0.0000 0.0000 0.5000 (multiplicity 4)  8 I 2.97
I 0.2500 0.2500 0.2500 (multiplicity 8)  4 Ru 2.97, 4 Be 2.97

## Properties
ΔE_f (raw), eV/atom: 1.115
Excess energy over the best structure of this formula in the dataset, meV/atom: 480

=====

[2]
ScInNi4: optimized geometry, PBE.

Lattice parameters (Å, degrees): 6.9078 6.9078 6.9078 90.00 90.00 90.00
Last column: nearest neighbours and their distance in Å.
Space group F-43m (No. 216)
Unique sites:
Sc 0.0000 0.0000 0.0000 (multiplicity 4)  12 Ni 2.86, 4 In 2.99
In 0.2500 0.2500 0.7500 (multiplicity 4)  12 Ni 2.86, 4 Sc 2.99
Ni 0.1247 0.1247 0.3753 (multiplicity 16)  6 Ni 2.44-2.45

## Properties
E_form, eV per atom: -0.41

=====

[3]
Ca4Ag3Au2: optimized geometry, PBE.

Lattice parameters (Å, degrees): 8.6926 5.0207 10.0727 90.00 90.04 90.00
Last column: nearest neighbours and their distance in Å.
Space group C2/m (No. 12)
Unique sites:
Ca 0.9997 0.0000 0.1689 (multiplicity 4)  3 Au 3.20, 7 Ag 3.33-3.39, 1 Ca 3.40
Ca 0.1664 0.5000 0.3883 (multiplicity 4)  4 Au 3.02-3.11, 3 Ag 3.11
Ag 0.0000 0.0000 0.5000 (multiplicity 2)  8 Ca 3.11-3.34
Ag 0.1668 0.5000 0.9945 (multiplicity 4)  3 Ag 2.90, 1 Au 3.00
Au 0.1671 0.5000 0.6969 (multiplicity 4)  1 Ag 3.00, 7 Ca 3.02-3.20

## Properties
E_form, eV per atom: -0.49

=====

[4]
CeMg6B: optimized geometry, PBE.

Lattice parameters (Å, degrees): 4.6254 5.6709 13.4230 90.00 90.00 90.00
Last column: nearest neighbours and their distance in Å.
Space group Amm2 (No. 38)
Unique sites:
Ce 0.0000 0.0000 0.0000 (multiplicity 2)  2 B 3.05, 6 Mg 3.15-3.18
Mg 0.0000 0.2482 0.7520 (multiplicity 4)  1 B 2.64, 4 Mg 2.82-2.92
Mg 0.5000 0.0000 0.1626 (multiplicity 2)  8 Mg 2.97-3.27, 2 Ce 3.18
Mg 0.5000 0.0000 0.5871 (multiplicity 2)  4 Mg 3.01-3.04, 2 B 3.25
Mg 0.5000 0.2403 0.3844 (multiplicity 4)  2 B 2.72, 5 Mg 2.72-3.04
B 0.0000 0.0000 0.4171 (multiplicity 2)  6 Mg 2.64-2.72

## Properties
E_form, eV per atom: 0.27
Excess energy over the best structure of this formula in the dataset, meV/atom: 62


No. 1
VASP calculation (PBE-GGA) on a relaxed structure of Ta2NbCo.

abc: 3.7570 3.7570 19.8782
angles: 90.00 90.00 90.00
Space group I-42d (No. 122)
One atom of each set of equivalent atoms:
Ta 0.2504 0.2500 0.1250 [8 per cell]
Nb 0.0000 0.0000 0.0000 [4 per cell]
Co 0.0000 0.0000 0.5000 [4 per cell]

Results
- Crystal system: tetragonal
- Calculated density: 12.2 Mg/m³
- V: 281 Å³/cell
- Calculated formation energy: 0.623 eV/atom


No. 2
VASP calculation (PBE-GGA) on a relaxed structure of TaNb2Co.

abc: 3.2333 3.2333 6.2711
angles: 90.00 90.00 90.00
Space group P4/mmm (No. 123)
One atom of each set of equivalent atoms:
Ta 0.0000 0.0000 0.0000 [1 per cell]
Nb 0.5000 0.5000 0.2639 [2 per cell]
Co 0.0000 0.0000 0.5000 [1 per cell]

Results
- Crystal system: tetragonal
- Energy relative to the lowest polymorph listed for this composition: 7 meV/atom
- Calculated density: 10.8 Mg/m³
- V: 66 Å³/cell
- Calculated formation energy: -0.016 eV/atom


No. 3
VASP calculation (PBE-GGA) on a relaxed structure of TaNbCo.

abc: 4.9958 8.6011 8.7421
angles: 90.00 90.00 90.00
Space group Fmmm (No. 69)
One atom of each set of equivalent atoms:
Ta 0.0000 0.0000 0.1612 [8 per cell]
Nb 0.0000 0.1599 0.5000 [8 per cell]
Co 0.2500 0.2500 0.2500 [8 per cell]

Results
- Crystal system: orthorhombic
- Energy relative to the lowest polymorph listed for this composition: 0 meV/atom
- Calculated density: 11.8 Mg/m³
- V: 376 Å³/cell
- Calculated formation energy: -0.215 eV/atom


No. 4
VASP calculation (PBE-GGA) on a relaxed structure of TaNbCo5.

abc: 3.5566 3.5566 7.4403
angles: 90.00 90.00 90.00
Space group P4/mmm (No. 123)
One atom of each set of equivalent atoms:
Ta 0.0000 0.0000 0.0000 [1 per cell]